• Input:
- - -
Calculated powder diffraction line list
Compound: Na3YTiSiP2O12
Radiation: copper Kα
Structure: a DFT-relaxed cell (GGA-PBE, the Materials Project)
Peak positions follow from Bragg's law for the DFT cell and can differ from measured ones.

```
data_Na3YTiSiP2O12
_chemical_formula_sum 'Na12 Y4 Ti4 Si4 P8 O48'
_cell_length_a 15.7276
_cell_length_b 9.2167
_cell_length_c 9.1858
_cell_angle_alpha 90.00
_cell_angle_beta 125.39
_cell_angle_gamma 90.00
_symmetry_space_group_name_H-M 'C 1 c 1'
_symmetry_Int_Tables_number 9
loop_
_symmetry_equiv_pos_as_xyz
'x,y,z'
'x,-y,z+1/2'
'x+1/2,y+1/2,z'
'x+1/2,-y+1/2,z+1/2'
loop_
_atom_site_label
_atom_site_type_symbol
_atom_site_fract_x
_atom_site_fract_y
_atom_site_fract_z
Na1 Na 0.0000 0.0720 0.0000
Na2 Na 0.0661 0.2725 0.4275
Na3 Na 0.3133 0.0898 0.6806
Y1 Y 0.4153 0.2455 0.0686
Ti1 Ti 0.2087 0.2628 0.2807
Si1 Si 0.4603 0.1158 0.4802
P1 P 0.1630 0.0846 0.8806
P2 P 0.3005 0.4580 0.6537
O1 O 0.0587 0.3020 0.1610
O2 O 0.0678 0.1329 0.6942
O3 O 0.1620 0.0862 0.3840
O4 O 0.1623 0.1357 0.0447
O5 O 0.2194 0.3619 0.4910
O6 O 0.2402 0.4325 0.1989
O7 O 0.2613 0.1372 0.9014
O8 O 0.3457 0.1834 0.4356
O9 O 0.3674 0.4582 0.1138
O10 O 0.3725 0.3591 0.8152
O11 O 0.4594 0.1707 0.3149
O12 O 0.4661 0.0599 0.9846
```

Principal peaks in the range 10° ≤ 2θ ≤ 90°, low angle first:
19.4°, d 4.564, I 100
22.7°, d 3.920, I 50
30.8°, d 2.906, I 36
30.9°, d 2.896, I 44
31.2°, d 2.871, I 39
33.8°, d 2.654, I 58

~~~~~

The following is a theoretical powder diffractogram of TiNbFe4. It was derived from DFT lattice parameters and positions (GGA-PBE), using a wavelength of 1.5418 Å.
Peak positions follow from Bragg's law for the DFT cell and can differ from measured ones.

Structure:
Cell lengths 4.7314, 4.7314, 7.8278 Å; angles 90.00, 90.00, 120.00 degrees
Space group P-3m1 (No. 164)
Symmetry-distinct sites (fractional):
Ti (0.3333, 0.6667, 0.0604) x2
Nb (0.3333, 0.6667, 0.4291) x2
Fe (0.0000, 0.0000, 0.0000) x1
Fe (0.0000, 0.0000, 0.5000) x1
Fe (0.1706, 0.3412, 0.7525) x6

Principal peaks in the range 2θ = 15–90°, sorted by position:
38.0 deg, I 37.1; 41.0 deg, I 85.6; 44.8 deg, I 100.0; 45.8 deg, I 87.0; 46.4 deg, I 15.7; 50.3 deg, I 17.0; 70.7 deg, I 27.7; 73.4 deg, I 20.7; 76.6 deg, I 30.4; 81.3 deg, I 24.2

The following is a theoretical powder diffractogram of Ti3Nb2Fe. It was derived from DFT lattice parameters and positions (GGA-PBE), using a wavelength of 1.5418 Å.
Peak positions follow from Bragg's law for the DFT cell and can differ from measured ones.

Structure:
Cell lengths 4.8169, 5.3759, 7.8305 Å; angles 90.00, 101.90, 90.00 degrees
Space group P2_1/m (No. 11)
Symmetry-distinct sites (fractional):
Ti (0.1286, 0.2500, 0.0627) x2
Ti (0.3237, 0.5069, 0.7559) x4
Nb (0.2103, 0.7500, 0.3438) x2
Nb (0.2175, 0.2500, 0.4326) x2
Fe (0.3794, 0.7500, 0.0187) x2

Principal peaks in the range 2θ = 15–90°, sorted by position:
33.3 deg, I 57.8; 36.4 deg, I 58.7; 37.5 deg, I 71.0; 38.2 deg, I 49.3; 39.2 deg, I 54.6; 40.2 deg, I 68.6; 41.0 deg, I 68.7; 41.6 deg, I 100.0; 43.3 deg, I 39.7; 43.7 deg, I 37.7

The following is a theoretical powder diffractogram of TmNbFe4. It was derived from DFT lattice parameters and positions (GGA-PBE), using a wavelength of 1.5418 Å.
Peak positions follow from Bragg's law for the DFT cell and can differ from measured ones.

Structure:
Cell lengths 4.9546, 4.9546, 8.1133 Å; angles 90.00, 90.00, 120.00 degrees
Space group P-3m1 (No. 164)
Symmetry-distinct sites (fractional):
Tm (0.3333, 0.6667, 0.4331) x2
Nb (0.3333, 0.6667, 0.0564) x2
Fe (0.0000, 0.0000, 0.0000) x1
Fe (0.0000, 0.0000, 0.5000) x1
Fe (0.1677, 0.3355, 0.7623) x6

Principal peaks in the range 2θ = 15–90°, sorted by position:
30.3 deg, I 21.4; 36.3 deg, I 61.1; 39.4 deg, I 95.5; 42.1 deg, I 15.0; 42.8 deg, I 100.0; 43.6 deg, I 60.4; 67.3 deg, I 37.4; 69.7 deg, I 22.1; 73.1 deg, I 26.4; 77.0 deg, I 22.4
- - -
• Request:
Your job: work out how many lines earlier on have the word "low" in them; a number is enough.
• Written answer:
1